- - -
Density functional theory data (PBEsol) for a relaxed TcPtRh2 crystal.

Cell: 2.6820 2.6820 7.7221 Å, 90.00 90.00 90.00°
With the nearest neighbours (Å) after each atom.
Space group P4mm (No. 99)
Asymmetric unit:
Tc: 0.0000 0.0000 0.0000 (multiplicity 1)  4 Rh 2.65, 4 Tc 2.68, 4 Pt 2.72
Pt: 0.5000 0.5000 0.2518 (multiplicity 1)  4 Pt 2.68, 4 Tc 2.72, 4 Rh 2.76
Rh: 0.0000 0.0000 0.5117 (multiplicity 1)  8 Rh 2.68-2.70, 4 Pt 2.76
Rh: 0.5000 0.5000 0.7604 (multiplicity 1)  4 Tc 2.65, 8 Rh 2.68-2.70

Values from the calculation:
- - -

Restate the calculation results further up verbatim, please.

Density functional theory data (PBEsol) for a relaxed TcPtRh2 crystal.

Cell: 2.6820 2.6820 7.7221 Å, 90.00 90.00 90.00°
With the nearest neighbours (Å) after each atom.
Space group P4mm (No. 99)
Asymmetric unit:
Tc: 0.0000 0.0000 0.0000 (multiplicity 1)  4 Rh 2.65, 4 Tc 2.68, 4 Pt 2.72
Pt: 0.5000 0.5000 0.2518 (multiplicity 1)  4 Pt 2.68, 4 Tc 2.72, 4 Rh 2.76
Rh: 0.0000 0.0000 0.5117 (multiplicity 1)  8 Rh 2.68-2.70, 4 Pt 2.76
Rh: 0.5000 0.5000 0.7604 (multiplicity 1)  4 Tc 2.65, 8 Rh 2.68-2.70

Values from the calculation: